Given.
┌──
No. 1
The following is a quantum chemistry calculation of a structure of composition C4H5N3 in a non-equilibrium geometry, from the Open Molecules 2025 dataset.

The geometry in XYZ format:
```
12
Properties=species:S:1:pos:R:3:lowdin_charge:R:1
N -1.460 -1.226 0.730 0.1296
N 1.590 -0.101 -0.914 0.0874
N -1.710 1.129 0.296 0.0933
C -0.533 1.044 -0.556 -0.0983
C 0.347 0.051 -0.303 -0.3144
C -1.822 -0.034 0.694 -0.2856
C -0.048 -0.718 0.963 -0.1406
H -0.367 1.875 -1.224 0.1052
H 1.962 -1.039 -0.970 0.0890
H 0.632 -1.448 1.395 0.1175
H -0.243 0.101 1.700 0.1245
H 1.653 0.365 -1.811 0.0923
```

Summary:
* E_HOMO: -8.13 eV
* strongest force on any atom: 0.03658 hartree/bohr
* multiplicity: 1
* ΔE to the lowest compared entry with this formula, charge and spin: 95.4 kcal/mol
* LUMO level: 0.31 eV
* HOMO-LUMO gap: 8.44 eV

---

No. 2
The following is a quantum chemistry calculation of the molecule C11H10ClNO2 in a non-equilibrium geometry, from the Open Molecules 2025 dataset.

The geometry in XYZ format:
```
25
Properties=species:S:1:pos:R:3:lowdin_charge:R:1
Cl -2.469 0.717 -1.518 0.6361
O -0.439 1.485 0.923 0.0588
O 1.632 2.191 -1.813 0.0955
N -0.039 1.292 -0.513 0.0022
C -0.709 -2.093 -1.929 -0.0665
C 0.380 2.444 1.337 -0.3111
C 0.205 -2.920 0.532 -0.0822
C 1.216 2.932 0.447 0.0657
C 0.066 -1.608 0.275 -0.0453
C -0.723 0.301 -1.345 -0.5751
C 0.154 3.008 2.762 0.0289
C 1.032 2.185 -0.786 -0.4424
C -0.665 -3.470 -1.681 -0.0746
C -0.414 -1.132 -0.959 -0.2103
C -0.166 -3.893 -0.442 -0.0654
H 1.836 3.713 0.589 0.0932
H -0.729 -4.172 -2.588 0.1306
H -0.174 -4.878 -0.079 0.0806
H 0.433 -0.894 1.015 0.1147
H -0.201 0.621 -2.275 0.1333
H 1.054 2.654 3.258 0.0882
H 0.405 -3.328 1.494 0.0979
H -1.110 -1.823 -2.909 0.1152
H -0.666 2.607 3.237 0.0479
H 0.090 4.062 2.967 0.0840
```

Summary:
* structure (SMILES): Cc1cc(=O)n([C@H](Cl)c2ccccc2)o1
* E_HOMO: -9.38 eV
* strongest force on any atom: 0.06711 hartree/bohr
* multiplicity: 1
* ΔE to the lowest compared entry with this formula, charge and spin: 60.0 kcal/mol
* LUMO level: 0.60 eV
* HOMO-LUMO gap: 9.98 eV

---

No. 3
The following is a quantum chemistry calculation of a structure of composition C18H26N6SV, from the Open Molecules 2025 dataset.

The geometry in XYZ format:
```
52
Properties=species:S:1:pos:R:3:lowdin_charge:R:1
V -0.084 0.104 -0.432 0.7458
S 0.225 -0.905 -2.439 0.7433
N 0.223 -0.112 1.523 0.0131
N 1.897 -2.739 -3.432 0.1109
N -0.326 -3.324 -3.399 0.1678
N -1.124 1.877 -0.091 -0.1414
N -1.982 -0.665 0.197 -0.1222
N 1.546 1.432 -0.158 -0.1177
C 5.390 -1.714 -2.830 -0.0376
C 4.224 -2.465 -2.864 -0.0088
C -2.507 1.620 -0.577 -0.1314
C -0.317 2.910 -0.799 -0.1314
C 1.056 2.860 -0.150 -0.1148
C 1.312 0.465 2.080 -0.2119
C -0.583 -0.761 3.655 0.0459
C 1.485 0.466 3.445 0.0453
C 2.290 1.032 1.080 -0.0727
C -3.004 0.445 0.248 -0.1170
C 3.055 -0.599 -3.869 -0.0678
C 0.647 -2.456 -3.165 -0.6631
C 0.523 -0.152 4.238 0.0416
C 4.228 0.144 -3.822 -0.0555
C -0.705 -0.731 2.284 -0.2121
C 3.069 -1.889 -3.365 -0.2540
C -1.807 -1.390 1.495 -0.0765
C 5.390 -0.408 -3.299 -0.0439
H -1.334 -1.253 4.260 0.1455
H 2.182 -0.197 -4.365 0.1035
H -3.971 0.087 -0.098 0.1492
H 0.634 -0.155 5.315 0.1443
H -2.461 1.380 -1.641 0.1373
H -1.287 -3.056 -3.278 0.1207
H 2.855 1.870 1.486 0.1487
H -3.154 2.489 -0.455 0.1524
H -2.297 -1.338 -0.495 0.1242
H 6.306 0.169 -3.291 0.1242
H -0.761 3.903 -0.728 0.1529
H -1.186 2.150 0.889 0.1522
H -2.742 -1.429 2.052 0.1487
H 3.007 0.256 0.806 0.1519
H -0.153 -4.183 -3.904 0.1521
H 2.088 -3.693 -3.723 0.1840
H 4.222 -3.489 -2.508 0.1282
H 6.300 -2.159 -2.451 0.1257
H 2.354 0.937 3.886 0.1453
H 1.770 3.511 -0.650 0.1495
H -0.270 2.642 -1.858 0.1388
H -1.517 -2.419 1.274 0.1515
H 4.244 1.140 -4.246 0.1197
H 0.990 3.181 0.891 0.1405
H 2.173 1.320 -0.955 0.1348
H -3.118 0.743 1.291 0.1402
```

Summary:
* expectation value of S²: 2.0255
* E_HOMO (spin up / spin down): -17.09 / -17.09 eV
* strongest force on any atom: 0.01277 hartree/bohr
* total charge: +3
* multiplicity: 3
└──

Assignment.
Work out how many lines further above have the word "structure" in them; a number is enough.

Result.
3